Mexican Gas

No not the kind you are thinking!

I was talking with my mechanic who claims Pemex gas is inferior to US gas. He said it is contaminated and low grade. He also said the premium gas is the same as the regular gas and comes from the same tank! He said after a while using Mexican gas it will foul up the fuel injection system and cylinder heads which are very expensive to fix.

I did a search on the net and there are stories of mixing used oil and even water into the gas.

He recommended using a additive available at Autozone called Lucas Fuel Treatment it's made in the states. Normally I would not use any kind of fuel additive in my car if I was using US gas. But after hearing this I think I will.


I've used it exclusively for 8 years with no problems. Also some have pointed out that Mexs sells the same fuel to the US.


Sonoran Goddess
Staff member
Mexican gas is the same as American gas and has been for over 20 years. Trust me, I would NEVER put that gas in my Jeep if it weren't. Green is fine for everything unless your car requires high test, red is high test but I don't use it.
My current vehicle has a high performance engine that burns premium fuel. I have purchased fuel at Pemex for years with other high performance engines and have never had any issues. If I even use 89 my engine lets me know.
I have a Toyota Tundra and every time I have to fill up in Puerto Penasco to get home. My check engine light comes on every trip and go out after I burn a tank of US gas. Some thing is different. I don't see any performance difference.


Aye carumba!!!
Staff member
Your mechanic is... well, I'll just say it - an asshat. Years ago, SOME of what he says about PEMEX was true. The primary contaminant was water. Today's PEMEX pumps filter the gas just like the pumps here in the US do and yes, much of your cross-border fuel is actually refined here in the US. Octane ratings for Magna are the same as they are here in the US. Now, if you're talking about buying it from a 55 gallon drum from some guy beside the road going down Baja (as used to be the case at the turnoff to Bahia De Los Angeles), well... caveat emptor.

How do I know this? I buy several hundred gallons of it a year. My boat tanks 230 gallons (full). Each year I change the fuel/water separators and inspect what I find in the filter canister. Know what I find? Nothing. Sometimes a tiny bit of sand (nature of living at the beach) and sometimes a tiny bit of water (natural condensation within the fuel tanks themselves). Know where I fill up? The same PEMEX stations where you fill your car. In nearly 30 years of buying PEMEX for all kinds of vehicles, you know what I've found? It actually runs BETTER than US gas because it's pure gasoline and they don't do the EPA mandated winter/summer formula switching thing adding lots of alcohol to it. MTBEs will screw up your engine faster than you can imagine and the forced use of ethanol in US fuel has killed many a boat engine.

Any gas will eventually leave deposits and sludge (varnishes, actually) as the gas ages, evaporates, etc. tank after tank. Lucas Fuel Ttreatment is no better or worse than many others out their and for modern fuel injected vehicles, you should run a quality fuel treatment through your system every 5,000 to 10,000 miles anyway. I prefer Pennzoil Regane. You can tell the difference in the way your car runs after one bottle.


Aye carumba!!!
Staff member
I have a Toyota Tundra and every time I have to fill up in Puerto Penasco to get home. My check engine light comes on every trip and go out after I burn a tank of US gas. Some thing is different. I don't see any performance difference.
Ethanol, alcohol content. Your Check Engine light is telling you something emissions related is wrong and typically, your oxygen sensor is used to running on US gas with more alcohol in it. Put in pure gas and it is suddenly seeing a different ratio in your exhaust. If you ran Mexican gas all the time, I'm willing to bet your Tundra would adjust and the light would go out.
Ethanol, alcohol content. Your Check Engine light is telling you something emissions related is wrong and typically, your oxygen sensor is used to running on US gas with more alcohol in it. Put in pure gas and it is suddenly seeing a different ratio in your exhaust. If you ran Mexican gas all the time, I'm willing to bet your Tundra would adjust and the light would go out.
Thanks, It still ran well, just got a check engine light.


I have a Toyota Tundra and every time I have to fill up in Puerto Penasco to get home. My check engine light comes on every trip and go out after I burn a tank of US gas. Some thing is different. I don't see any performance difference.
Ethanol, alcohol content. Your Check Engine light is telling you something emissions related is wrong and typically, your oxygen sensor is used to running on US gas with more alcohol in it. Put in pure gas and it is suddenly seeing a different ratio in your exhaust. If you ran Mexican gas all the time, I'm willing to bet your Tundra would adjust and the light would go out.
Make sure your friendly Pemex attendant is fully tightening your fuel cap also!

**Someone pasted crystal structures at this point:**
- - -
1.
Here is an optimized crystal structure of Sm3DyTe4 from the Alexandria database. Energies are from PBE-GGA.

Lattice parameters (Å, degrees): 4.368 7.690 7.690 108.85 90.00 90.00
Fractional coordinates of all 8 atoms:
1 Sm 0.000 0.500 0.000
2 Sm 0.000 0.000 0.500
3 Sm 0.500 0.500 0.500
4 Te 0.500 0.247 0.753
5 Te 0.000 0.245 0.245
6 Te 0.500 0.753 0.247
7 Te 0.000 0.755 0.755
8 Dy 0.500 0.000 0.000

formation energy (no corrections) = -10.84 eV per formula unit
ρ = 7.63 g/cm3
crystal system = orthorhombic

---

2.
Here is an optimized crystal structure of PmIn6S8 from the Alexandria database. Energies are from PBE-GGA.

Lattice parameters (Å, degrees): 7.209 7.209 7.209 94.84 94.84 94.84
Fractional coordinates of all 15 atoms:
1 S 0.173 0.639 0.903
2 S 0.903 0.173 0.639
3 S 0.827 0.361 0.097
4 S 0.361 0.097 0.827
5 S 0.097 0.827 0.361
6 S 0.259 0.259 0.259
7 S 0.639 0.903 0.173
8 S 0.741 0.741 0.741
9 In 0.380 0.772 0.663
10 In 0.772 0.663 0.380
11 In 0.663 0.380 0.772
12 In 0.228 0.337 0.620
13 In 0.620 0.228 0.337
14 In 0.337 0.620 0.228
15 Pm 0.000 0.000 0.000

formation energy (no corrections) = -7.96 eV per formula unit
ρ = 4.89 g/cm3
crystal system = trigonal

---

- What is the formula in the second record?
  PmIn6S8

---

Please write out number 1 again, unchanged.
Here is an optimized crystal structure of Sm3DyTe4 from the Alexandria database. Energies are from PBE-GGA.

Lattice parameters (Å, degrees): 4.368 7.690 7.690 108.85 90.00 90.00
Fractional coordinates of all 8 atoms:
1 Sm 0.000 0.500 0.000
2 Sm 0.000 0.000 0.500
3 Sm 0.500 0.500 0.500
4 Te 0.500 0.247 0.753
5 Te 0.000 0.245 0.245
6 Te 0.500 0.753 0.247
7 Te 0.000 0.755 0.755
8 Dy 0.500 0.000 0.000

formation energy (no corrections) = -10.84 eV per formula unit
ρ = 7.63 g/cm3
crystal system = orthorhombic

---

- Which value of formation energy (no corrections) does entry 2 give?
  -7.96 eV per formula unit


Record 1
The following is a GGA-PBE calculation of a relaxed Pr3YHo crystal, from the Alexandria database.

The structure belongs to space group Cmce (No. 64); the cell edges are 13.276, 13.393 and 7.787 Å and the angles 90.00°, 90.00° and 90.00°. The distinct sites, in fractional coordinates, are Pr at (0.000, 0.101, 0.108), Pr at (0.150, 0.241, 0.383), Y at (0.250, 0.010, 0.750) and Ho at (0.000, 0.099, 0.627).

As for the energy above the lowest structure with this stoichiometry: 52 meV/atom. As for the mass density: 6.5 g/cm3. Its total energy is -24.8 eV per formula unit. The value obtained for the formation energy from the elements is 119 meV per atom.

=====

Record 2
The following is a GGA-PBE calculation of a relaxed Pr6Y2Ho crystal, from the Alexandria database.
- - -
**The piece goes on:**


Sonoran Goddess
Staff member
Oh, and I forgot to tell you, I get better gas mileage on Mexican gas. I can't even make it down on one tank but I can make it home and then some on Mexican gas. I stuff her full in Sonoyta on the way home and it only takes half a tank to get home.
Oh, and I forgot to tell you, I get better gas mileage on Mexican gas. I can't even make it down on one tank but I can make it home and then some on Mexican gas. I stuff her full in Sonoyta on the way home and it only takes half a tank to get home.
I think that from Why to Phx. or from Why to Tuc. you are going down Hill. Lady and when you are going home you have less weight no food, no water, and you are going slower because you don't want to go home.


Sonoran Goddess
Staff member
Ha Ha, I don 't want to go home...True but I don't carry water nor food. I buy everything there mostly. I drive between 60 and 65 everywhere because anything over 65 in that Jeep is positively terrifying. Actually it is downhill towards Penasco because that's sea level. It is a most noticeable difference in mileage.....
Ha Ha, I don 't want to go home...True but I don't carry water nor food. I buy everything there mostly. I drive between 60 and 65 everywhere because anything over 65 in that Jeep is positively terrifying. Actually it is downhill towards Penasco because that's sea level. It is a most noticeable difference in mileage.....
All in fun! life is good going down Sat. Always needed to have better milelage going home because I was out of money.


Sonoran Goddess
Staff member
When I was younger, I held back gas money and wouldn't spend it no matter what!!!!!!! Now I occasionally come home with money! I know, I know...hard to believe isn't it? LOL! Have a great time! I don't know when I'll get back down, probably not til mid March.:(:(
When I was younger, I held back gas money and wouldn't spend it no matter what!!!!!!! Now I occasionally come home with money! I know, I know...hard to believe isn't it? LOL! Have a great time! I don't know when I'll get back down, probably not til mid March.:(:(
I hid my going home money in my sock for gas and get out of jail card. Mid March is not far away. Happy Happy!!!


Sonoran Goddess
Staff member
Now in all my 46 years in going to Mexico, I never went to jail... I probably should have a couple of times... My guardian angel is still curled up on the floor in a fetal position. LOLOL!
Now in all my 46 years in going to Mexico, I never went to jail... I probably should have a couple of times... My guardian angel is still curled up on the floor in a fetal position. LOLOL!
OK I won't lie! Jail only one time 18 years old and I'm not going to tell you how many years ago that was pretty scary 2 am Nogales just friends having a good time.